**Excerpt:**
'''
[1]
Molecular formula: C4H9NOS
Method: DFT, ωB97M-V/def2-TZVPD

Output
net charge = 0
orbital gap = 9.33 eV
LUMO = 0.84 eV
highest occupied orbital energy = -8.49 eV

Each line ends with the Löwdin charge.
CARTESIAN COORDINATES (ANGSTROEM)
1 C -1.23116 1.24194 0.15003  -0.2297
2 C -1.81102 -0.06078 0.13497  -0.2710
3 C 2.04779 0.04700 -0.62968  -0.2353
4 C -1.65676 -0.89955 -0.85725  -0.0409
5 N 1.80065 -0.50784 1.89680  -0.3420
6 O 0.10530 1.17847 0.80596  -0.3965
7 S 0.88419 -0.33481 0.68798  0.8548
8 H -1.69074 2.02156 0.68904  0.1057
9 H -0.96235 1.44002 -0.94911  0.1373
10 H -2.24299 -0.63761 0.97866  0.1270
11 H 1.96296 -0.87775 -1.23418  0.0446
12 H 1.67477 0.87439 -1.27088  0.0612
13 H 3.07085 0.14168 -0.27371  0.0496
14 H -1.16604 -0.70532 -1.85679  0.0913
15 H -2.04269 -1.90247 -0.88006  0.0570
16 H 1.25724 -1.01893 2.60823  -0.0131

[2]
Molecular formula: C4H8IN2
Method: DFT, ωB97M-V/def2-TZVPD

Output
net charge = +1
orbital gap (alpha / beta) = 5.80 / 6.95 eV
LUMO (alpha / beta) = -4.45 / -6.32 eV
highest occupied orbital energy (alpha / beta) = -10.24 / -13.27 eV
multiplicity = 3

Each line ends with the Löwdin charge.
CARTESIAN COORDINATES (ANGSTROEM)
1 C 0.45025 0.89930 0.07555  0.1995
2 C 2.54176 -0.38384 0.73102  -0.9416
3 C -1.85799 1.14930 -0.65788  0.0524
4 C -0.81257 -1.12888 -0.36396  0.0254
5 N 2.23341 -1.24765 1.43988  0.0843
6 N -0.61428 0.33812 -0.22402  -0.1746
7 I 4.03742 0.62516 -0.05159  0.9367
8 H 0.68661 1.89712 -0.02715  0.0898
9 H -2.58384 0.95643 0.25971  0.1556
10 H -2.37762 0.75728 -1.43723  0.0526
11 H -1.48405 2.22817 -0.73488  0.1279
12 H -0.21421 -1.64241 0.26733  0.0367
13 H -0.72267 -1.40027 -1.47397  0.1521
14 H -1.86233 -1.33233 -0.04684  0.1170
15 H 2.58010 -1.71548 2.24404  0.0862

[3]
Molecular formula: C20H60NO18Zn
Method: DFT, ωB97M-V/def2-TZVPD

Output
net charge = +1
orbital gap = 8.88 eV
LUMO = -2.28 eV
highest occupied orbital energy = -11.17 eV

Each line ends with the Löwdin charge.
CARTESIAN COORDINATES (ANGSTROEM)
1 Zn 0.30740 -2.12775 1.35011  0.6412
2 O 0.07283 -0.65604 0.08601  -0.3196
3 H -0.13866 0.28334 0.25147  0.0035
4 C -1.79050 2.69611 3.97895  -0.0419
5 C -2.86017 2.71767 2.78573  -0.3528
6 C -2.05742 2.90570 1.45017  -0.1697
7 O -2.77270 3.47592 0.35131  -0.1760
8 C -1.98010 3.69422 -0.78345  -0.1158
9 N -3.66610 1.49986 2.92977  0.0316
10 H -1.21351 1.77174 4.00581  0.0398
11 H -2.28717 2.80648 4.94292  0.0771
12 H -1.15048 3.57673 3.92436  0.0720
13 H -3.49399 3.56818 3.03676  0.1340
14 H -1.52793 1.96816 1.28057  0.1105
15 H -1.44580 3.76959 1.71039  0.1151
16 H -2.56476 4.16878 -1.57153  0.0909
17 H -1.56609 2.81766 -1.28181  0.0629
18 H -1.18586 4.37813 -0.48419  0.0894
19 H -3.68309 1.04208 3.82990  0.0688
20 H -4.62124 1.79459 2.78498  0.0819
21 C 2.78346 -3.30966 2.14855  -0.1880
22 C 1.72775 -4.31064 2.74593  -0.1043
23 O 0.40232 -3.72098 2.55990  -0.0925
24 O 2.27656 -2.44852 1.19610  -0.0717
25 H 3.51071 -4.00276 1.72568  0.1347
26 H 3.23440 -2.66843 2.90589  0.1151
27 H 2.06184 -4.59716 3.74312  0.1307
28 H 1.54075 -5.25828 2.24083  0.1263
29 H -0.14925 -4.24963 3.14119  0.1293
30 H 2.97581 -1.89710 0.83749  0.1291
31 C -1.68396 -0.90421 3.10271  -0.1795
32 C -0.28000 -0.83303 3.86472  -0.1078
33 O 0.78989 -0.75448 2.86438  -0.1043
34 O -1.63224 -1.96376 2.16050  -0.1103
35 H -1.77658 -0.10267 2.36987  0.0893
36 H -2.53563 -1.03984 3.76931  0.1311
37 H -0.12421 -1.80104 4.34093  0.1123
38 H -0.26430 0.01216 4.55285  0.1118
39 H 1.26640 0.07231 2.96907  0.0392
40 H -2.46994 -1.83290 1.71023  0.0530
41 C 0.86124 -4.42810 -1.01912  -0.1624
42 C 1.12652 -3.77952 -2.40530  -0.2052
43 O -0.03188 -3.75280 -3.24219  -0.0478
44 O 0.06946 -3.56899 -0.21778  -0.0957
45 H 1.78627 -4.54859 -0.45529  0.1121
46 H 0.36574 -5.39767 -1.06924  0.1320
47 H 1.94108 -4.29409 -2.91502  0.1149
48 H 1.61300 -2.80511 -2.36113  0.1143
49 H -0.33847 -2.87732 -3.48944  0.0718
50 H -0.74632 -3.45519 -0.71088  0.0814
51 C -3.15176 -1.16770 -1.59321  -0.2122
'''

**Assignment:**
Next, type out the whole of the notes above unchanged.

**Done:**
[1]
Molecular formula: C4H9NOS
Method: DFT, ωB97M-V/def2-TZVPD

Output
net charge = 0
orbital gap = 9.33 eV
LUMO = 0.84 eV
highest occupied orbital energy = -8.49 eV

Each line ends with the Löwdin charge.
CARTESIAN COORDINATES (ANGSTROEM)
1 C -1.23116 1.24194 0.15003  -0.2297
2 C -1.81102 -0.06078 0.13497  -0.2710
3 C 2.04779 0.04700 -0.62968  -0.2353
4 C -1.65676 -0.89955 -0.85725  -0.0409
5 N 1.80065 -0.50784 1.89680  -0.3420
6 O 0.10530 1.17847 0.80596  -0.3965
7 S 0.88419 -0.33481 0.68798  0.8548
8 H -1.69074 2.02156 0.68904  0.1057
9 H -0.96235 1.44002 -0.94911  0.1373
10 H -2.24299 -0.63761 0.97866  0.1270
11 H 1.96296 -0.87775 -1.23418  0.0446
12 H 1.67477 0.87439 -1.27088  0.0612
13 H 3.07085 0.14168 -0.27371  0.0496
14 H -1.16604 -0.70532 -1.85679  0.0913
15 H -2.04269 -1.90247 -0.88006  0.0570
16 H 1.25724 -1.01893 2.60823  -0.0131

[2]
Molecular formula: C4H8IN2
Method: DFT, ωB97M-V/def2-TZVPD

Output
net charge = +1
orbital gap (alpha / beta) = 5.80 / 6.95 eV
LUMO (alpha / beta) = -4.45 / -6.32 eV
highest occupied orbital energy (alpha / beta) = -10.24 / -13.27 eV
multiplicity = 3

Each line ends with the Löwdin charge.
CARTESIAN COORDINATES (ANGSTROEM)
1 C 0.45025 0.89930 0.07555  0.1995
2 C 2.54176 -0.38384 0.73102  -0.9416
3 C -1.85799 1.14930 -0.65788  0.0524
4 C -0.81257 -1.12888 -0.36396  0.0254
5 N 2.23341 -1.24765 1.43988  0.0843
6 N -0.61428 0.33812 -0.22402  -0.1746
7 I 4.03742 0.62516 -0.05159  0.9367
8 H 0.68661 1.89712 -0.02715  0.0898
9 H -2.58384 0.95643 0.25971  0.1556
10 H -2.37762 0.75728 -1.43723  0.0526
11 H -1.48405 2.22817 -0.73488  0.1279
12 H -0.21421 -1.64241 0.26733  0.0367
13 H -0.72267 -1.40027 -1.47397  0.1521
14 H -1.86233 -1.33233 -0.04684  0.1170
15 H 2.58010 -1.71548 2.24404  0.0862

[3]
Molecular formula: C20H60NO18Zn
Method: DFT, ωB97M-V/def2-TZVPD

Output
net charge = +1
orbital gap = 8.88 eV
LUMO = -2.28 eV
highest occupied orbital energy = -11.17 eV

Each line ends with the Löwdin charge.
CARTESIAN COORDINATES (ANGSTROEM)
1 Zn 0.30740 -2.12775 1.35011  0.6412
2 O 0.07283 -0.65604 0.08601  -0.3196
3 H -0.13866 0.28334 0.25147  0.0035
4 C -1.79050 2.69611 3.97895  -0.0419
5 C -2.86017 2.71767 2.78573  -0.3528
6 C -2.05742 2.90570 1.45017  -0.1697
7 O -2.77270 3.47592 0.35131  -0.1760
8 C -1.98010 3.69422 -0.78345  -0.1158
9 N -3.66610 1.49986 2.92977  0.0316
10 H -1.21351 1.77174 4.00581  0.0398
11 H -2.28717 2.80648 4.94292  0.0771
12 H -1.15048 3.57673 3.92436  0.0720
13 H -3.49399 3.56818 3.03676  0.1340
14 H -1.52793 1.96816 1.28057  0.1105
15 H -1.44580 3.76959 1.71039  0.1151
16 H -2.56476 4.16878 -1.57153  0.0909
17 H -1.56609 2.81766 -1.28181  0.0629
18 H -1.18586 4.37813 -0.48419  0.0894
19 H -3.68309 1.04208 3.82990  0.0688
20 H -4.62124 1.79459 2.78498  0.0819
21 C 2.78346 -3.30966 2.14855  -0.1880
22 C 1.72775 -4.31064 2.74593  -0.1043
23 O 0.40232 -3.72098 2.55990  -0.0925
24 O 2.27656 -2.44852 1.19610  -0.0717
25 H 3.51071 -4.00276 1.72568  0.1347
26 H 3.23440 -2.66843 2.90589  0.1151
27 H 2.06184 -4.59716 3.74312  0.1307
28 H 1.54075 -5.25828 2.24083  0.1263
29 H -0.14925 -4.24963 3.14119  0.1293
30 H 2.97581 -1.89710 0.83749  0.1291
31 C -1.68396 -0.90421 3.10271  -0.1795
32 C -0.28000 -0.83303 3.86472  -0.1078
33 O 0.78989 -0.75448 2.86438  -0.1043
34 O -1.63224 -1.96376 2.16050  -0.1103
35 H -1.77658 -0.10267 2.36987  0.0893
36 H -2.53563 -1.03984 3.76931  0.1311
37 H -0.12421 -1.80104 4.34093  0.1123
38 H -0.26430 0.01216 4.55285  0.1118
39 H 1.26640 0.07231 2.96907  0.0392
40 H -2.46994 -1.83290 1.71023  0.0530
41 C 0.86124 -4.42810 -1.01912  -0.1624
42 C 1.12652 -3.77952 -2.40530  -0.2052
43 O -0.03188 -3.75280 -3.24219  -0.0478
44 O 0.06946 -3.56899 -0.21778  -0.0957
45 H 1.78627 -4.54859 -0.45529  0.1121
46 H 0.36574 -5.39767 -1.06924  0.1320
47 H 1.94108 -4.29409 -2.91502  0.1149
48 H 1.61300 -2.80511 -2.36113  0.1143
49 H -0.33847 -2.87732 -3.48944  0.0718
50 H -0.74632 -3.45519 -0.71088  0.0814
51 C -3.15176 -1.16770 -1.59321  -0.2122